To do =
Give back the whole of the lines further down word for word, please.

Entries =
********
# 1
The following is a DFT calculation (ωB97M-V/def2-TZVPD) of 2 unconnected molecules or ions with the total composition C14H19Cl4NO7P.

As for the max |F|: 0.01795 Eh/bohr. The total energy is -90022.8433 eV. The lowest unoccupied orbital energy comes out at -4.89 eV.

ORCA input file:
```
! RIJCOSX wB97M-V def2-TZVPD def2/J DEFGRID3
* xyz 1 1
C 3.742 -1.598 -0.562
C 2.946 -0.443 -1.217
C 3.544 -0.157 -2.603
C 1.475 -0.811 -1.424
C 0.822 -1.500 -0.207
N -0.523 -0.988 0.146
C -0.565 0.158 0.852
C 0.668 0.939 1.203
C 1.041 2.039 0.209
O 2.110 2.560 0.252
O 0.052 2.460 -0.636
C -1.782 0.673 1.251
C -2.949 0.015 0.968
C -4.236 0.639 1.438
O -4.461 1.770 1.120
O -5.022 -0.121 2.206
C -2.894 -1.173 0.219
Cl -4.372 -1.952 -0.121
C -1.671 -1.667 -0.216
P -1.603 -3.216 -1.239
O -2.887 -3.499 -1.855
O -1.012 -4.304 -0.260
O -0.448 -3.027 -2.326
H 4.693 -1.727 -1.070
H 3.974 -1.361 0.475
H 3.197 -2.540 -0.617
H 3.075 0.456 -0.617
H 3.724 -1.094 -3.130
H 4.508 0.335 -2.490
H 2.895 0.477 -3.206
H 0.868 0.048 -1.718
H 1.441 -1.502 -2.264
H 1.469 -1.428 0.659
H 0.757 -2.557 -0.413
H 0.431 1.495 2.113
H 1.537 0.335 1.437
H -0.050 1.887 -1.404
H -1.819 1.599 1.814
H -5.938 0.002 1.915
H -0.185 -4.684 -0.590
H -0.772 -2.397 -2.987
C -1.190 5.268 2.923
Cl -1.476 3.719 2.082
Cl -2.112 5.332 4.412
Cl 0.529 5.484 3.212
H -1.533 6.055 2.266
*
```

natural (NBO) population analysis, charges in e, atoms 1 to 4: -0.6212 -0.2355 -0.5993 -0.4104

# 2
The following is a DFT calculation (ωB97M-V/def2-TZVPD) of a molecular structure, C14H19Cl5F6GeIrP.

As for the max |F|: 0.01253 Eh/bohr. The total energy is -162339.9791 eV. Its expectation value of S² is 6.03. The lowest unoccupied orbital energy (alpha / beta) comes out at -13.25 / -16.72 eV.

ORCA input file:
```
! RIJCOSX wB97M-V def2-TZVPD def2/J DEFGRID3
* xyz 4 5
Ir 0.891 -0.388 -3.085
Cl -1.891 -2.851 -2.706
C -0.862 -2.838 -4.000
C 0.194 -1.886 -4.091
C 0.953 -1.939 -5.260
Cl 2.064 -0.588 -5.148
C 0.867 -2.812 -6.331
Cl 1.874 -2.716 -7.649
C -0.170 -3.811 -6.230
Cl -0.358 -4.931 -7.421
C -1.054 -3.806 -5.079
Cl -2.285 -4.895 -4.997
C -0.297 3.558 4.253
C -0.310 3.035 2.815
C -1.332 1.917 2.649
C -1.597 1.437 1.256
Ge 0.010 0.158 0.802
C -0.626 -1.670 1.427
C -0.364 -1.796 2.917
C 1.100 -1.682 3.327
C 1.457 -0.265 3.743
H 0.628 4.095 4.454
H -0.356 2.736 4.968
H -1.137 4.230 4.427
H 0.692 2.693 2.533
H -0.571 3.834 2.115
H -2.364 2.262 2.919
H -1.238 1.120 3.403
H -1.426 2.184 0.472
H -2.482 0.832 1.076
H 1.438 0.652 0.635
H 0.044 -2.263 0.795
H -1.666 -1.760 1.122
H -0.799 -2.774 3.181
H -1.010 -1.119 3.491
H 1.743 -1.993 2.494
H 1.304 -2.380 4.139
H 1.145 0.475 2.980
H 2.529 -0.124 3.865
H 0.955 0.018 4.669
F 0.060 -0.391 -1.196
P 0.687 2.799 -2.290
F 1.158 4.205 -2.531
F 0.577 2.432 -3.831
F -0.826 2.532 -2.128
F 0.850 2.876 -0.720
F 1.801 1.599 -2.237
*
```

natural (NBO) population analysis, charges in e, atoms 1 to 4: 1.0932 0.3579 -0.0096 -0.1359

# 3
The following is a DFT calculation (ωB97M-V/def2-TZVPD) of a molecular structure, C14H19ClN4O2Pb at a distorted geometry.

As for the max |F|: 0.22782 Eh/bohr. The total energy is -42626.8032 eV. The lowest unoccupied orbital energy comes out at -10.03 eV.

ORCA input file:
```
! RIJCOSX wB97M-V def2-TZVPD def2/J DEFGRID3
* xyz 2 1
Cl -0.204 4.012 -1.845
C -2.234 0.538 -2.434
C -1.381 -0.626 -2.172
C -0.101 -0.389 -2.821
H -1.650 -1.490 -1.602
C -0.149 0.928 -3.487
C -1.487 1.464 -3.233
H -1.790 2.454 -3.522
H -3.237 0.668 -2.066
H 0.750 -1.045 -2.815
C 0.917 1.565 -4.235
Pb -0.345 1.263 -1.077
C 1.560 1.855 -0.574
O 2.654 2.129 -0.274
C -1.270 2.245 0.476
O -1.766 2.885 1.320
H 1.907 1.311 -3.832
H 0.797 2.655 -4.203
H 0.881 1.237 -5.284
C 0.661 0.609 2.006
N 0.028 -0.150 0.865
C -1.287 -0.739 1.309
N -1.025 -1.668 2.421
C -0.393 -0.924 3.548
N 0.904 -0.337 3.128
C 1.818 -1.408 2.655
N 1.207 -2.155 1.515
C 0.960 -1.236 0.390
C -0.086 -2.740 1.978
H 0.018 1.399 2.366
H 1.614 1.034 1.720
H -1.760 -1.293 0.487
H -1.963 0.043 1.627
********

Here it is =
# 1
The following is a DFT calculation (ωB97M-V/def2-TZVPD) of 2 unconnected molecules or ions with the total composition C14H19Cl4NO7P.

As for the max |F|: 0.01795 Eh/bohr. The total energy is -90022.8433 eV. The lowest unoccupied orbital energy comes out at -4.89 eV.

ORCA input file:
```
! RIJCOSX wB97M-V def2-TZVPD def2/J DEFGRID3
* xyz 1 1
C 3.742 -1.598 -0.562
C 2.946 -0.443 -1.217
C 3.544 -0.157 -2.603
C 1.475 -0.811 -1.424
C 0.822 -1.500 -0.207
N -0.523 -0.988 0.146
C -0.565 0.158 0.852
C 0.668 0.939 1.203
C 1.041 2.039 0.209
O 2.110 2.560 0.252
O 0.052 2.460 -0.636
C -1.782 0.673 1.251
C -2.949 0.015 0.968
C -4.236 0.639 1.438
O -4.461 1.770 1.120
O -5.022 -0.121 2.206
C -2.894 -1.173 0.219
Cl -4.372 -1.952 -0.121
C -1.671 -1.667 -0.216
P -1.603 -3.216 -1.239
O -2.887 -3.499 -1.855
O -1.012 -4.304 -0.260
O -0.448 -3.027 -2.326
H 4.693 -1.727 -1.070
H 3.974 -1.361 0.475
H 3.197 -2.540 -0.617
H 3.075 0.456 -0.617
H 3.724 -1.094 -3.130
H 4.508 0.335 -2.490
H 2.895 0.477 -3.206
H 0.868 0.048 -1.718
H 1.441 -1.502 -2.264
H 1.469 -1.428 0.659
H 0.757 -2.557 -0.413
H 0.431 1.495 2.113
H 1.537 0.335 1.437
H -0.050 1.887 -1.404
H -1.819 1.599 1.814
H -5.938 0.002 1.915
H -0.185 -4.684 -0.590
H -0.772 -2.397 -2.987
C -1.190 5.268 2.923
Cl -1.476 3.719 2.082
Cl -2.112 5.332 4.412
Cl 0.529 5.484 3.212
H -1.533 6.055 2.266
*
```

natural (NBO) population analysis, charges in e, atoms 1 to 4: -0.6212 -0.2355 -0.5993 -0.4104

# 2
The following is a DFT calculation (ωB97M-V/def2-TZVPD) of a molecular structure, C14H19Cl5F6GeIrP.

As for the max |F|: 0.01253 Eh/bohr. The total energy is -162339.9791 eV. Its expectation value of S² is 6.03. The lowest unoccupied orbital energy (alpha / beta) comes out at -13.25 / -16.72 eV.

ORCA input file:
```
! RIJCOSX wB97M-V def2-TZVPD def2/J DEFGRID3
* xyz 4 5
Ir 0.891 -0.388 -3.085
Cl -1.891 -2.851 -2.706
C -0.862 -2.838 -4.000
C 0.194 -1.886 -4.091
C 0.953 -1.939 -5.260
Cl 2.064 -0.588 -5.148
C 0.867 -2.812 -6.331
Cl 1.874 -2.716 -7.649
C -0.170 -3.811 -6.230
Cl -0.358 -4.931 -7.421
C -1.054 -3.806 -5.079
Cl -2.285 -4.895 -4.997
C -0.297 3.558 4.253
C -0.310 3.035 2.815
C -1.332 1.917 2.649
C -1.597 1.437 1.256
Ge 0.010 0.158 0.802
C -0.626 -1.670 1.427
C -0.364 -1.796 2.917
C 1.100 -1.682 3.327
C 1.457 -0.265 3.743
H 0.628 4.095 4.454
H -0.356 2.736 4.968
H -1.137 4.230 4.427
H 0.692 2.693 2.533
H -0.571 3.834 2.115
H -2.364 2.262 2.919
H -1.238 1.120 3.403
H -1.426 2.184 0.472
H -2.482 0.832 1.076
H 1.438 0.652 0.635
H 0.044 -2.263 0.795
H -1.666 -1.760 1.122
H -0.799 -2.774 3.181
H -1.010 -1.119 3.491
H 1.743 -1.993 2.494
H 1.304 -2.380 4.139
H 1.145 0.475 2.980
H 2.529 -0.124 3.865
H 0.955 0.018 4.669
F 0.060 -0.391 -1.196
P 0.687 2.799 -2.290
F 1.158 4.205 -2.531
F 0.577 2.432 -3.831
F -0.826 2.532 -2.128
F 0.850 2.876 -0.720
F 1.801 1.599 -2.237
*
```

natural (NBO) population analysis, charges in e, atoms 1 to 4: 1.0932 0.3579 -0.0096 -0.1359

# 3
The following is a DFT calculation (ωB97M-V/def2-TZVPD) of a molecular structure, C14H19ClN4O2Pb at a distorted geometry.

As for the max |F|: 0.22782 Eh/bohr. The total energy is -42626.8032 eV. The lowest unoccupied orbital energy comes out at -10.03 eV.

ORCA input file:
```
! RIJCOSX wB97M-V def2-TZVPD def2/J DEFGRID3
* xyz 2 1
Cl -0.204 4.012 -1.845
C -2.234 0.538 -2.434
C -1.381 -0.626 -2.172
C -0.101 -0.389 -2.821
H -1.650 -1.490 -1.602
C -0.149 0.928 -3.487
C -1.487 1.464 -3.233
H -1.790 2.454 -3.522
H -3.237 0.668 -2.066
H 0.750 -1.045 -2.815
C 0.917 1.565 -4.235
Pb -0.345 1.263 -1.077
C 1.560 1.855 -0.574
O 2.654 2.129 -0.274
C -1.270 2.245 0.476
O -1.766 2.885 1.320
H 1.907 1.311 -3.832
H 0.797 2.655 -4.203
H 0.881 1.237 -5.284
C 0.661 0.609 2.006
N 0.028 -0.150 0.865
C -1.287 -0.739 1.309
N -1.025 -1.668 2.421
C -0.393 -0.924 3.548
N 0.904 -0.337 3.128
C 1.818 -1.408 2.655
N 1.207 -2.155 1.515
C 0.960 -1.236 0.390
C -0.086 -2.740 1.978
H 0.018 1.399 2.366
H 1.614 1.034 1.720
H -1.760 -1.293 0.487
H -1.963 0.043 1.627